Sinema is the kind of woman Rachel Maddow should swoon over – yet, she’s being trampled over in hypocritical fashion.
The RCMP's union says that while it still supports a Mountie's right to refuse vaccination, it also wants officers to be aware of the consequences of that choice.
How big is the defection from government schools in the country's largest district? That's for politicians to know, and you to find out.
"The waiting room was so crowded, things were so backed up they couldn't even get her to be seen initially. So, because I knew this person, I called. I called the desk receiving nurse and asked what the situation was."
Failing companies ditch vessels too expensive to repair or too difficult to sell, leaving behind cargo-ship castaways trapped in ports or offshore.
Anyone who argues that Joe Biden has his wits about him seriously needs to sit down and watch this horrifying
A new study in the Lancet finds that vaccine effectiveness against infection drops fast over five months – but protection against serious disease is more robust.
Mollie Hemingway shares what Trump told her during over 5 hours of interviews for her new book on the 2020 election: "Rigged: How the Media, Big Tech, and the Democrats Seized Our Elections."
Sóttvarnalæknir hefur ákveðið að bóluefni Moderna gegn Covid-19 verði ekki notað hér á landi á meðan frekari upplýsinga er aflað um öryggi bóluefnisins við örvunarbólusetningar.
Robert Wright argues that we can’t reform higher education, but that it’s possible to build a competing system of institutions.
********
Material: Tb2Nb2O7
Method: DFT, PBE
State: optimized geometry

Results
- Symmetry: Fd-3m
- Magnetization: 0.0 μB/cell

```
Tb2Nb2O7
1.0
0.0000 5.2052 5.2052
5.2052 0.0000 5.2052
5.2052 5.2052 0.0000
Tb Nb O
4 4 14
direct
0.0000 0.0000 0.0000
0.0000 0.0000 0.5000
0.0000 0.5000 0.0000
0.5000 0.0000 0.0000
0.0000 0.5000 0.5000
0.5000 0.0000 0.5000
0.5000 0.5000 0.0000
0.5000 0.5000 0.5000
0.1250 0.1250 0.1250
0.1556 0.1556 0.5944
0.1556 0.5944 0.1556
0.1556 0.5944 0.5944
0.4056 0.4056 0.8444
0.4056 0.8444 0.4056
0.4056 0.8444 0.8444
0.5944 0.1556 0.1556
0.5944 0.1556 0.5944
0.5944 0.5944 0.1556
0.8444 0.4056 0.4056
0.8444 0.4056 0.8444
0.8444 0.8444 0.4056
0.8750 0.8750 0.8750
```


Material: CsSm2Cu3Se5
Method: DFT, PBE
State: optimized geometry

Results
- Symmetry: Cmcm
- Magnetization: 0.0 μB/cell

```
CsSm2Cu3Se5
1.0
2.1252 -7.3475 0.0000
2.1252 7.3475 0.0000
0.0000 0.0000 17.6903
Cs Sm Cu Se
2 4 6 10
direct
0.0613 0.9387 0.7500
0.9387 0.0613 0.2500
0.1924 0.8076 0.0904
0.1924 0.8076 0.4096
0.8076 0.1924 0.5904
0.8076 0.1924 0.9096
0.3409 0.6591 0.7500
0.4174 0.5826 0.0307
0.4174 0.5826 0.4693
0.5826 0.4174 0.5307
0.5826 0.4174 0.9693
0.6591 0.3409 0.2500
0.1689 0.8311 0.5705
0.1689 0.8311 0.9295
0.2351 0.7649 0.2500
0.4405 0.5595 0.6099
0.4405 0.5595 0.8901
0.5595 0.4405 0.1099
0.5595 0.4405 0.3901
0.7649 0.2351 0.7500
0.8311 0.1689 0.0705
0.8311 0.1689 0.4295
```


Material: LiBPt3
Method: DFT, PBE
State: optimized geometry

Results
- Symmetry: P-62m

```
LiBPt3
1.0
9.3362 0.0000 0.0000
-4.6681 8.0854 0.0000
0.0000 0.0000 2.8059
Li B Pt
3 3 9
direct
0.0000 0.3623 0.0000
0.3623 0.0000 0.0000
0.6377 0.6377 0.0000
0.0000 0.0000 0.5000
0.3333 0.6667 0.0000
0.6667 0.3333 0.0000
0.0000 0.8227 0.0000
0.1653 0.6817 0.5000
0.1773 0.1773 0.0000
0.3183 0.4837 0.5000
0.4837 0.3183 0.5000
0.5163 0.8347 0.5000
0.6817 0.1653 0.5000
0.8227 0.0000 0.0000
0.8347 0.5163 0.5000
```


Material: TiB6O6
Method: DFT, PBE
State: optimized geometry

Results
- Symmetry: C2/m
- Magnetization: 0.2 μB/cell

```
TiB6O6
1.0
4.5865 -3.9274 0.0000
4.5865 3.9274 0.0000
-3.6485 0.0000 4.7573
Ti B O
1 6 6
direct
0.0000 0.0000 0.0000
0.0770 0.3943 0.9150
0.1651 0.1651 0.5071
0.3943 0.0770 0.9150
0.6057 0.9230 0.0850
0.8349 0.8349 0.4929
0.9230 0.6057 0.0850
0.0578 0.3599 0.6624
0.2416 0.2416 0.0411
0.3599 0.0578 0.6624
0.6401 0.9422 0.3376
0.7584 0.7584 0.9589
0.9422 0.6401 0.3376
```


Material: Cs2KAuF6
Method: DFT, PBE
State: optimized geometry

Results
- Symmetry: Fm-3m
- Magnetization: 2.0 μB/cell

```
Cs2KAuF6
1.0
0.0000 4.7292 4.7292
4.7292 0.0000 4.7292
4.7292 4.7292 0.0000
Cs K Au F
2 1 1 6
direct
0.2500 0.2500 0.2500
0.7500 0.7500 0.7500
0.0000 0.0000 0.0000
0.5000 0.5000 0.5000
0.2719 0.2719 0.7281
0.2719 0.7281 0.2719
0.2719 0.7281 0.7281
0.7281 0.2719 0.2719
0.7281 0.2719 0.7281
0.7281 0.7281 0.2719
```


Material: YSnF7
Method: DFT, PBE
State: optimized geometry

Results
- Symmetry: P2_1
- Offset from the most stable computed form: 0.03 eV/f.u.

```
YSnF7
1.0
********
The article goes on:
Government officials increasingly act as though they’re somehow beyond criticism. But the truth is exactly the opposite – they have a duty to be...
COP26 will be another private-jet convocation where superior people, with no need to worry about furnace fuel, will meet to tell the peasants how they should…
Moderate Democratic Sen. Joe Manchin III of West Virginia told Senate Majority Leader Charles E. Schumer that his partisan speech was “f—-ing stupid” after Republicans helped Democrats pass an increase in the nation’s debt limit Thursday night, according to a report.
◀Previous Post Next Post▶ By Eric Ruben, Southern Methodist University The stakes in one of the most significant Second Amendment cases in U.S. history are high. The Supreme Court’s ruling in New York State Rifle & Pistol Association v. Bruen, expected by mid-2022, could declare a New York state restriction on carrying concealed handguns in […]
The lost art of reading comprehension
ContentsChina Sends Fighter Jets And Bombers Into Taiwan Airspace Taiwan Responds, U.S. Urges China To Stop  The SEAL who killed Osama Bin Laden tagged wrestler and actor John Cena in a tweet about China invading Taiwan. Cena received backlash after he apologized to China for calling Taiwan a country. China Sends Fighter Jets And Bombers Into […]
New York City will phase out its programs for gifted and talented primary grade students in the name of "equality," reports the New York Times.
By: Donald J. Trump I have sent a letter to the U.S. National Archives and Records Administration in defense of the Office of the Presidency, the
The city is nixing the test to get into 'gifted' classes and plans to offer an 'accelerated' program to all students, instead, officials said Friday.
A judge ruled that the Kansas City mayor and the city council violated law when attempting to defund the Kansas City Police earlier in 2021.
Timothy George Simpkins, who attends Timberview High School, posted $75,000 bond at Tarrant County Jail on Thursday and headed to home confinement.
Kaylee Greenlee  Tens of thousands of Afghan refugees could be released into the U.S. without a decision about their immigration status, CBS News reported
Thanks to the Chinese Communist Party virus, there’s been a surge in homeschooling in the United States. The ...
Fox News host Laura Ingraham ripped the "mob" mentality of the left after they attacked comedian Dave Chappelle and Democratic Arizona Sen. Kyrsten Sinema for spurring the leftist orthodoxy on "The Ingraham Angle."
If there is still one person somewhere in America who doesn’t think President Joe Biden and the toxic progressives who increasingly call the shots for the White House and the Democratic Party ar...